Request:
Now set down everything further down exactly.
Entries:
........
A relaxed Rb2AgCO4 crystal, computed with PBE.

abc: 11.8808 10.8412 6.1812
angles: 83.75 65.10 31.14
Closest atoms and distances in Å follow each position.
Fractional positions:
1 Rb 0.0527 0.0527 0.6973  4 O 3.02-3.08
2 Rb 0.3027 0.3027 0.9473  4 O 3.02-3.08
3 Rb 0.6973 0.6973 0.0527  4 O 3.02-3.08
4 Rb 0.9473 0.9473 0.3027  4 O 3.02-3.08
5 Ag 0.1250 0.1250 0.1250  4 O 2.20
6 Ag 0.8750 0.8750 0.8750  4 O 2.20
7 C 0.3750 0.3750 0.3750  4 O 1.41
8 C 0.6250 0.6250 0.6250  4 O 1.41
9 O 0.1105 0.5634 0.4926  1 C 1.41
10 O 0.3335 0.4926 0.5634  1 C 1.41
11 O 0.4366 0.8895 0.6665  1 C 1.41
12 O 0.4926 0.3335 0.1105  1 C 1.41
13 O 0.5074 0.6665 0.8895  1 C 1.41
14 O 0.5634 0.1105 0.3335  1 C 1.41
15 O 0.6665 0.5074 0.4366  1 C 1.41
16 O 0.8895 0.4366 0.5074  1 C 1.41

magnetic moment: 0.073 μB/atom
symmetry: Fddd
formation energy (no corrections): -8.01 eV/f.u.

* * * * *

Record 1
Entry from Alexandria: SrYAl after structural relaxation (GGA-PBE).

Cell and atoms, written as POSCAR:
```
SrYAl
1.0
3.5868 0.0030 0.0080
1.7865 7.6423 0.0420
-0.0202 3.4497 7.2436
Y Sr Al
2 2 2
Direct
0.3163 0.8759 0.8452 Y
0.6048 0.2981 0.8594 Y
0.2401 0.0269 0.3318 Sr
0.5008 0.5068 0.3717 Sr
0.9207 0.6667 0.6562 Al
0.0015 0.5052 0.0274 Al
```

M_tot: 0.00 μB per atom
raw total energy: -4.026 eV per atom
formation energy from the elements: -0.19 eV per formula unit


Record 2
Entry from Alexandria: Sm2YNi2 after structural relaxation (GGA-PBE).

Cell and atoms, written as POSCAR:
```
Sm2YNi2
1.0
3.8158 0.0000 0.0000
0.0000 4.1936 -1.1922
0.0000 -0.1533 7.4324
Y Ni Sm
1 2 2
Direct
0.0000 0.0000 0.0000 Y
0.0000 0.2010 0.4021 Ni
0.0000 0.7990 0.5979 Ni
0.5000 0.6491 0.2983 Sm
0.5000 0.3509 0.7017 Sm
```

M_tot: 0.00 μB per atom
raw total energy: -5.774 eV per atom
formation energy from the elements: -1.40 eV per formula unit


Record 3
Entry from Alexandria: YTeMo2 after structural relaxation (GGA-PBE).

Cell and atoms, written as POSCAR:
```
YTeMo2
1.0
-2.0151 2.9538 -3.3568
-0.0283 -2.6614 -2.3249
-4.6470 -1.5135 1.4578
Te Mo Y
1 2 1
Direct
0.5000 0.2500 0.2500 Te
0.0000 0.3325 0.5278 Mo
0.0000 0.1675 0.9722 Mo
0.5000 0.7500 0.7500 Y
```

formation energy (no corrections): 0.2295 eV/atom
M_tot: 0.00 μB per atom
raw total energy: -7.587 eV per atom


Record 4
Entry from Alexandria: LiSeSCl2 after structural relaxation (GGA-PBE).

Cell and atoms, written as POSCAR:
```
LiSeSCl2
1.0
5.0824 0.0000 0.0000
0.0000 5.0824 0.0000
0.0000 0.0000 4.9076
Li Cl Se S
1 2 1 1
Direct
0.5000 0.5000 0.5000 Li
0.5000 0.0000 0.0000 Cl
0.0000 0.5000 0.0000 Cl
0.0000 0.0000 0.0000 Se
0.0000 0.0000 0.5000 S
```

formation energy (no corrections): -0.2528 eV/atom
M_tot: 0.00 μB per atom
raw total energy: -2.897 eV per atom

* * * * *

Entry from Alexandria via LeMat-Bulk: a relaxed structure of LuMn2Al (PBE-GGA).

The space group is Fm-3m (No. 225) and the conventional cell measures 6.301, 6.301 and 6.301 Å, with angles of 90.00, 90.00 and 90.00 degrees. The asymmetric unit holds Lu at (0.000, 0.000, 0.000), Mn at (0.250, 0.250, 0.250) and Al at (0.000, 0.000, 0.500).

The calculated formation energy comes out at 0.000 eV per atom. The total energy is -106.42 eV for the cell shown. The density of states at the Fermi level comes out at 4.376 states/eV/f.u.

* * * * *

Density functional theory data (PBE-GGA) for a relaxed structure of HgAu.

```
HgAu
1.0
-2.110 2.110 4.556
2.110 -2.110 4.556
2.110 2.110 -4.556
Hg Au
2 2
........
Outcome:
A relaxed Rb2AgCO4 crystal, computed with PBE.

abc: 11.8808 10.8412 6.1812
angles: 83.75 65.10 31.14
Closest atoms and distances in Å follow each position.
Fractional positions:
1 Rb 0.0527 0.0527 0.6973  4 O 3.02-3.08
2 Rb 0.3027 0.3027 0.9473  4 O 3.02-3.08
3 Rb 0.6973 0.6973 0.0527  4 O 3.02-3.08
4 Rb 0.9473 0.9473 0.3027  4 O 3.02-3.08
5 Ag 0.1250 0.1250 0.1250  4 O 2.20
6 Ag 0.8750 0.8750 0.8750  4 O 2.20
7 C 0.3750 0.3750 0.3750  4 O 1.41
8 C 0.6250 0.6250 0.6250  4 O 1.41
9 O 0.1105 0.5634 0.4926  1 C 1.41
10 O 0.3335 0.4926 0.5634  1 C 1.41
11 O 0.4366 0.8895 0.6665  1 C 1.41
12 O 0.4926 0.3335 0.1105  1 C 1.41
13 O 0.5074 0.6665 0.8895  1 C 1.41
14 O 0.5634 0.1105 0.3335  1 C 1.41
15 O 0.6665 0.5074 0.4366  1 C 1.41
16 O 0.8895 0.4366 0.5074  1 C 1.41

magnetic moment: 0.073 μB/atom
symmetry: Fddd
formation energy (no corrections): -8.01 eV/f.u.

* * * * *

Record 1
Entry from Alexandria: SrYAl after structural relaxation (GGA-PBE).

Cell and atoms, written as POSCAR:
```
SrYAl
1.0
3.5868 0.0030 0.0080
1.7865 7.6423 0.0420
-0.0202 3.4497 7.2436
Y Sr Al
2 2 2
Direct
0.3163 0.8759 0.8452 Y
0.6048 0.2981 0.8594 Y
0.2401 0.0269 0.3318 Sr
0.5008 0.5068 0.3717 Sr
0.9207 0.6667 0.6562 Al
0.0015 0.5052 0.0274 Al
```

M_tot: 0.00 μB per atom
raw total energy: -4.026 eV per atom
formation energy from the elements: -0.19 eV per formula unit


Record 2
Entry from Alexandria: Sm2YNi2 after structural relaxation (GGA-PBE).

Cell and atoms, written as POSCAR:
```
Sm2YNi2
1.0
3.8158 0.0000 0.0000
0.0000 4.1936 -1.1922
0.0000 -0.1533 7.4324
Y Ni Sm
1 2 2
Direct
0.0000 0.0000 0.0000 Y
0.0000 0.2010 0.4021 Ni
0.0000 0.7990 0.5979 Ni
0.5000 0.6491 0.2983 Sm
0.5000 0.3509 0.7017 Sm
```

M_tot: 0.00 μB per atom
raw total energy: -5.774 eV per atom
formation energy from the elements: -1.40 eV per formula unit


Record 3
Entry from Alexandria: YTeMo2 after structural relaxation (GGA-PBE).

Cell and atoms, written as POSCAR:
```
YTeMo2
1.0
-2.0151 2.9538 -3.3568
-0.0283 -2.6614 -2.3249
-4.6470 -1.5135 1.4578
Te Mo Y
1 2 1
Direct
0.5000 0.2500 0.2500 Te
0.0000 0.3325 0.5278 Mo
0.0000 0.1675 0.9722 Mo
0.5000 0.7500 0.7500 Y
```

formation energy (no corrections): 0.2295 eV/atom
M_tot: 0.00 μB per atom
raw total energy: -7.587 eV per atom


Record 4
Entry from Alexandria: LiSeSCl2 after structural relaxation (GGA-PBE).

Cell and atoms, written as POSCAR:
```
LiSeSCl2
1.0
5.0824 0.0000 0.0000
0.0000 5.0824 0.0000
0.0000 0.0000 4.9076
Li Cl Se S
1 2 1 1
Direct
0.5000 0.5000 0.5000 Li
0.5000 0.0000 0.0000 Cl
0.0000 0.5000 0.0000 Cl
0.0000 0.0000 0.0000 Se
0.0000 0.0000 0.5000 S
```

formation energy (no corrections): -0.2528 eV/atom
M_tot: 0.00 μB per atom
raw total energy: -2.897 eV per atom

* * * * *

Entry from Alexandria via LeMat-Bulk: a relaxed structure of LuMn2Al (PBE-GGA).

The space group is Fm-3m (No. 225) and the conventional cell measures 6.301, 6.301 and 6.301 Å, with angles of 90.00, 90.00 and 90.00 degrees. The asymmetric unit holds Lu at (0.000, 0.000, 0.000), Mn at (0.250, 0.250, 0.250) and Al at (0.000, 0.000, 0.500).

The calculated formation energy comes out at 0.000 eV per atom. The total energy is -106.42 eV for the cell shown. The density of states at the Fermi level comes out at 4.376 states/eV/f.u.

* * * * *

Density functional theory data (PBE-GGA) for a relaxed structure of HgAu.

```
HgAu
1.0
-2.110 2.110 4.556
2.110 -2.110 4.556
2.110 2.110 -4.556
Hg Au
2 2